From: Electric Power Research Institute

Environmentally-Safe Method Chills Out Pests From Stored Grain

--Mobile unit cools cantaloupes for longer shelf life--

Palo Alto, Calif. -- Nov. 14, 1996 -- Controlling pests in stored grains is typically accomplished with chemical fumigants. Now, a pesticide-free option called chilled-aeration technology literally "chills out" the bugs for year-round protection. The same technology also cools fresh-picked produce for longer marketability.

Recently, researchers at Purdue University improved chilled aeration efficiency by using variable-speed blower drives to reduce total energy consumption. The Electric Power Research Institute's (EPRI) Agriculture Technology Alliance (ATA), Western Resources and Cinergy are funding demonstrations. The first was held at a wheat-handling facility in Kokomo, Indiana with grains stored in large bins. Another trial in Indiana placed a small, mobile chilled aeration unit next to a field of cantaloupes.

Chilled-aeration has been used in Europe for a some time. Grain chilling uses refrigeration to control temperature and moisture. Grains are cooled to a level that inhibits insect populations.

"For stored grains, our results indicate that chilled aeration works and is economically competitive with fumigation. Fumigation is also toxic and expensive," said Myron Jones, EPRI1s project manager.

"For cantaloupes, the mobile unit used to store the melons right after picking increased their marketing window from a few days to two to three weeks," he added.

Calculated crystals, as found in the file:
~~~
Entry i
Entry from Alexandria via LeMat-Bulk: a relaxed structure of Na2Tc2Cl (PBE-GGA).

* size of the total moment: 2.503 μB per cell
* DOS(E_F): 3.1 states/eV/cell
* V: 135.7 Å³ per cell
* SG: I4/mmm

Cell: 6.0980 6.0980 5.6493 Å, 57.34 57.34 90.00°
Sites, in units of the cell vectors:
Tc 0.3570 0.3570 0.2860
Na 0.7500 0.2500 0.5000
Na 0.2500 0.7500 0.5000
Tc 0.6430 0.6430 0.7140
Cl 0.0000 0.0000 0.0000

Entry ii
Entry from Alexandria via LeMat-Bulk: a relaxed structure of Na2Tc2Cl (PBE-GGA).

* size of the total moment: 0.000 μB per cell
* DOS(E_F): 7.8 states/eV/cell
* V: 227.9 Å³ per cell
* SG: P4/mbm

Cell: 8.5789 8.5789 3.0971 Å, 90.00 90.00 90.00°
Sites, in units of the cell vectors:
Na 0.7968 0.2968 0.5000
Na 0.7032 0.7968 0.5000
Cl 0.5000 0.5000 0.0000
Tc 0.5849 0.0849 0.0000
Tc 0.4151 0.9151 0.0000
Na 0.2968 0.2032 0.5000
Tc 0.0849 0.4151 0.0000
Tc 0.9151 0.5849 0.0000
Cl 0.0000 0.0000 0.0000
Na 0.2032 0.7032 0.5000

Q: What are the energies relative to the best structure? A: entry i 0.167; entry ii 0.000, in eV/atom.

Entry i
Entry from Alexandria via LeMat-Bulk: a relaxed structure of Na2TeCl6 (PBE-GGA).

* size of the total moment: 0.000 μB per cell
* DOS(E_F): 0.0 states/eV/cell
* V: 543.2 Å³ per cell
* SG: P2_1/c

Cell: 7.0239 6.6783 11.5793 Å, 90.00 90.02 90.00°
Sites, in units of the cell vectors:
Cl 0.3031 0.7853 0.4989
Cl 0.8031 0.7147 0.9989
Te 0.0000 0.0000 0.5000
Cl 0.1969 0.2853 0.0011
Na 0.0006 0.5021 0.1840
Cl 0.6576 0.2847 0.1582
Cl 0.3424 0.7153 0.8418
Cl 0.6580 0.2785 0.8447
Cl 0.1580 0.2215 0.3447
Cl 0.6969 0.2147 0.5011
Cl 0.3420 0.7215 0.1553
Cl 0.8420 0.7785 0.6553
Te 0.5000 0.5000 0.0000
Na 0.9994 0.4979 0.8160
Na 0.4994 0.0021 0.3160
Cl 0.1576 0.2153 0.6582
Cl 0.8424 0.7847 0.3418
Na 0.5006 0.9979 0.6840

Entry ii
Entry from Alexandria via LeMat-Bulk: a relaxed structure of Na2TeCl6 (PBE-GGA).

* size of the total moment: 0.000 μB per cell
* DOS(E_F): 0.0 states/eV/cell
* V: 523.5 Å³ per cell
* SG: P4_2/mnm

Cell: 6.5014 6.5014 12.3842 Å, 90.00 90.00 90.00°
Sites, in units of the cell vectors:
Cl 0.8108 0.1892 0.8470
Te 0.0000 0.0000 0.0000
Cl 0.7194 0.7194 0.0000
Cl 0.6892 0.6892 0.3470
Cl 0.2194 0.7806 0.5000
Cl 0.8108 0.1892 0.1530
Te 0.5000 0.5000 0.5000
Cl 0.1892 0.8108 0.1530
Cl 0.2806 0.2806 0.0000
Na 0.0000 0.0000 0.3339
Cl 0.1892 0.8108 0.8470
Cl 0.3108 0.3108 0.3470
Cl 0.3108 0.3108 0.6530
Cl 0.7806 0.2194 0.5000
Na 0.5000 0.5000 0.1661
Na 0.0000 0.0000 0.6661
Na 0.5000 0.5000 0.8339
Cl 0.6892 0.6892 0.6530

Q: What are the energies relative to the best structure? A: entry i 0.000; entry ii 0.018, in eV/atom.

Entry i
Entry from Alexandria via LeMat-Bulk: a relaxed structure of NaTeCl3 (PBE-GGA).

* size of the total moment: 0.000 μB per cell
* DOS(E_F): 3.2 states/eV/cell
* V: 126.5 Å³ per cell
* SG: Pm-3m

Cell: 5.0202 5.0202 5.0202 Å, 90.00 90.00 90.00°
Sites, in units of the cell vectors:
Te 0.5000 0.5000 0.5000
Cl 0.5000 0.0000 0.0000
Na 0.0000 0.0000 0.0000
Cl 0.0000 0.0000 0.5000
~~~
End of the calculated crystals:

The United States is the world1s largest grain producer and exporter. Billions of bushels of grain are stored for up to three years before processing and consumption. Residual grain protectants and fumigants are used to protect grains. Still, a 1990 survey by Oklahoma State University found that stored grain losses in the U.S. exceeded $500 million for the year due to damage from molds and mycotoxins and infestation of insects.

Only two fumigants can be used to control insects: methyl bromide and phosphine. Beginning in 2001, methyl bromide will be banned by the federal government to protect the stratospheric ozone layer, leaving phosphine as the only alternative.

"We want to use our last fumigant sparingly to preserve it. Plus, there are reports in other parts of the world of pests building up a resistance to it," said Dr. Dirk Maier, assistant professor in the Department of Agricultural and Biological Engineering at Purdue. Maier added that chilled aeration also eliminates the need for residual grain protectants.

For example, wheat in 45,000 bushel capacity steel grain bins needs to be below 60�F to prevent pests from multiplying. Once the desired temperature is reached, rechilling for a short time maintains the cold conditions because of the insulating properties of the grain. The humidity control function also prevents mold and can enhance grain quality.

As for produce like cantaloupe, the chilled aeration unit built by AAG Manufacturing cools the melon down from the field but doesn1t get it as cold as a refrigerated produce warehouse, said Anthony F. Giuffre, chief engineer with AAG, which designs custom refrigeration equipment. Yet, feedback during the demonstration told him of the need to cool the melons as soon as possible.

"If we can cool the melons immediately, we'd throw away less each year. A portable cooling system is more economical for smaller growers. When melons aren1t in season it can be moved to the grain crop," said Dr. Diana Lange, an extension horticulturist with Purdue.

According to the U.S. Department of Agriculture, farm income in 1993 valued $175,052 million.

"Agriculture uses 44 billion kilowatt hours of electricity per year and 20 percent of all jobs in the U.S. are related to the industry. With ATA, we are promoting cost-effective electrotechnologies for production agriculture to help keep the industry viable and efficient," said Clark Gellings, vice president of EPRI's Customer Systems Group which oversees ATA programs. EPRI, established in 1973 and headquartered in Palo Alto, California, manages science and technology R&D for the electricity industry. More than 700 utilities are members of the Institute which has an annual budget of some $500 million.


This article comes from Science Blog. Copyright � 2004